Data.
# 1
BeTe2Mo | PBE | optimized geometry

Lattice parameters (Å, degrees): 8.614 8.614 8.614 23.44 23.44 23.44
Fractional coordinates of all 4 atoms:
Be (0.000, 0.000, 0.000)
Te (0.093, 0.093, 0.093)
Te (0.907, 0.907, 0.907)
Mo (0.500, 0.500, 0.500)

Computed properties:
Raw formation energy (eV per atom): 0.412
Raw total energy (eV per cell): -19.19
Mass density (g/cm3): 6.74

# 2
CsMgZn3 | PBE | optimized geometry

Lattice parameters (Å, degrees): 6.695 6.695 6.695 90.00 90.00 90.00
Fractional coordinates of all 5 atoms:
Cs (0.000, 0.000, 0.000)
Mg (0.500, 0.500, 0.500)
Zn (0.000, 0.000, 0.500)
Zn (0.000, 0.500, 0.000)
Zn (0.500, 0.000, 0.000)

Computed properties:
ΔE_f (meV/atom): 880
Offset from the most stable computed form (kJ/mol of formula units): 294.9
Raw total energy (eV per cell): -1.87
Mass density (g/cm3): 1.96

# 3
NaSrNbBiO6 | PBE | optimized geometry

Lattice parameters (Å, degrees): 5.952 5.952 5.952 60.00 60.00 60.00
Fractional coordinates of all 10 atoms:
Na (0.000, 0.000, 0.000)
Sr (0.500, 0.500, 0.500)
Nb (0.250, 0.250, 0.250)
Bi (0.750, 0.750, 0.750)
O (0.012, 0.012, 0.488)
O (0.012, 0.488, 0.012)
O (0.012, 0.488, 0.488)
O (0.488, 0.012, 0.012)
O (0.488, 0.012, 0.488)
O (0.488, 0.488, 0.012)

Computed properties:
Raw formation energy (eV per atom): -2.015
Raw total energy (eV per cell): -66.85
Mass density (g/cm3): 5.66

# 4
CaPmPdSe | PBE | optimized geometry

Lattice parameters (Å, degrees): 5.110 5.110 5.110 60.00 60.00 60.00
Fractional coordinates of all 4 atoms:
Ca (0.000, 0.000, 0.000)
Pm (0.500, 0.500, 0.500)
Pd (0.750, 0.750, 0.750)
Se (0.250, 0.250, 0.250)

Computed properties:
Raw formation energy (eV per atom): -0.988
Raw total energy (eV per cell): -19.38
Mass density (g/cm3): 6.52

# 5
TbCu12 | PBE | optimized geometry

Lattice parameters (Å, degrees): 6.457 6.457 6.457 98.15 98.15 135.76
Fractional coordinates of all 13 atoms:
Tb (0.000, 0.000, 0.000)
Cu (0.000, 0.000, 0.500)
Cu (0.000, 0.355, 0.355)
Cu (0.000, 0.500, 0.000)
Cu (0.000, 0.645, 0.645)
Cu (0.277, 0.500, 0.777)
Cu (0.355, 0.000, 0.355)
Cu (0.500, 0.000, 0.000)
Cu (0.500, 0.277, 0.777)
Cu (0.500, 0.500, 0.500)
Cu (0.500, 0.723, 0.223)
Cu (0.645, 0.000, 0.645)
Cu (0.723, 0.500, 0.223)

Computed properties:
ΔE_f (meV/atom): -81
Raw total energy (eV per cell): -54.84
Mass density (g/cm3): 8.79

# 6
La2Mg2Au | PBE | optimized geometry

Lattice parameters (Å, degrees): 7.087 7.087 5.424 90.00 90.00 90.00
Fractional coordinates of all 10 atoms:
La (0.166, 0.334, 0.000)
La (0.334, 0.834, 0.000)
La (0.666, 0.166, 0.000)
La (0.834, 0.666, 0.000)
Mg (0.146, 0.646, 0.500)
Mg (0.354, 0.146, 0.500)
Mg (0.646, 0.854, 0.500)
Mg (0.854, 0.354, 0.500)
Au (0.000, 0.000, 0.500)

Assignment.
Duplicate the block earlier on from the line with "8.614 8.614" to the end without additions.

Written answer.
Lattice parameters (Å, degrees): 8.614 8.614 8.614 23.44 23.44 23.44
Fractional coordinates of all 4 atoms:
Be (0.000, 0.000, 0.000)
Te (0.093, 0.093, 0.093)
Te (0.907, 0.907, 0.907)
Mo (0.500, 0.500, 0.500)

Computed properties:
Raw formation energy (eV per atom): 0.412
Raw total energy (eV per cell): -19.19
Mass density (g/cm3): 6.74

# 2
CsMgZn3 | PBE | optimized geometry

Lattice parameters (Å, degrees): 6.695 6.695 6.695 90.00 90.00 90.00
Fractional coordinates of all 5 atoms:
Cs (0.000, 0.000, 0.000)
Mg (0.500, 0.500, 0.500)
Zn (0.000, 0.000, 0.500)
Zn (0.000, 0.500, 0.000)
Zn (0.500, 0.000, 0.000)

Computed properties:
ΔE_f (meV/atom): 880
Offset from the most stable computed form (kJ/mol of formula units): 294.9
Raw total energy (eV per cell): -1.87
Mass density (g/cm3): 1.96

# 3
NaSrNbBiO6 | PBE | optimized geometry

Lattice parameters (Å, degrees): 5.952 5.952 5.952 60.00 60.00 60.00
Fractional coordinates of all 10 atoms:
Na (0.000, 0.000, 0.000)
Sr (0.500, 0.500, 0.500)
Nb (0.250, 0.250, 0.250)
Bi (0.750, 0.750, 0.750)
O (0.012, 0.012, 0.488)
O (0.012, 0.488, 0.012)
O (0.012, 0.488, 0.488)
O (0.488, 0.012, 0.012)
O (0.488, 0.012, 0.488)
O (0.488, 0.488, 0.012)

Computed properties:
Raw formation energy (eV per atom): -2.015
Raw total energy (eV per cell): -66.85
Mass density (g/cm3): 5.66

# 4
CaPmPdSe | PBE | optimized geometry

Lattice parameters (Å, degrees): 5.110 5.110 5.110 60.00 60.00 60.00
Fractional coordinates of all 4 atoms:
Ca (0.000, 0.000, 0.000)
Pm (0.500, 0.500, 0.500)
Pd (0.750, 0.750, 0.750)
Se (0.250, 0.250, 0.250)

Computed properties:
Raw formation energy (eV per atom): -0.988
Raw total energy (eV per cell): -19.38
Mass density (g/cm3): 6.52

# 5
TbCu12 | PBE | optimized geometry

Lattice parameters (Å, degrees): 6.457 6.457 6.457 98.15 98.15 135.76
Fractional coordinates of all 13 atoms:
Tb (0.000, 0.000, 0.000)
Cu (0.000, 0.000, 0.500)
Cu (0.000, 0.355, 0.355)
Cu (0.000, 0.500, 0.000)
Cu (0.000, 0.645, 0.645)
Cu (0.277, 0.500, 0.777)
Cu (0.355, 0.000, 0.355)
Cu (0.500, 0.000, 0.000)
Cu (0.500, 0.277, 0.777)
Cu (0.500, 0.500, 0.500)
Cu (0.500, 0.723, 0.223)
Cu (0.645, 0.000, 0.645)
Cu (0.723, 0.500, 0.223)

Computed properties:
ΔE_f (meV/atom): -81
Raw total energy (eV per cell): -54.84
Mass density (g/cm3): 8.79

# 6
La2Mg2Au | PBE | optimized geometry

Lattice parameters (Å, degrees): 7.087 7.087 5.424 90.00 90.00 90.00
Fractional coordinates of all 10 atoms:
La (0.166, 0.334, 0.000)
La (0.334, 0.834, 0.000)
La (0.666, 0.166, 0.000)
La (0.834, 0.666, 0.000)
Mg (0.146, 0.646, 0.500)
Mg (0.354, 0.146, 0.500)
Mg (0.646, 0.854, 0.500)
Mg (0.854, 0.354, 0.500)
Au (0.000, 0.000, 0.500)